IEMA Welcomes Parliaments Vote to Close the Brexit Environmental Governance Gap
## These crystal structures were left in the page by mistake
<<<
Ga3CuPd: computed powder X-ray diffraction pattern (Cu Kα X-rays), based on a GGA-PBE-relaxed structure.
No peak broadening, texture or thermal motion is included.

Structural model:
```
data_Ga3CuPd
_chemical_formula_sum 'Ga6 Cu2 Pd2'
_symmetry_space_group_name_H-M 'P m m n'
_symmetry_Int_Tables_number 59
_cell_length_a 4.131
_cell_length_b 7.392
_cell_length_c 5.329
_cell_angle_alpha 90.00
_cell_angle_beta 90.00
_cell_angle_gamma 90.00
loop_
_symmetry_equiv_pos_as_xyz
'x,y,z'
'-x,-y,-z'
'-x+1/2,-y+1/2,z'
'x+1/2,y+1/2,-z'
'x+1/2,-y,-z'
'-x+1/2,y,z'
'-x,y+1/2,-z'
'x,-y+1/2,z'
loop_
_atom_site_label
_atom_site_fract_x
_atom_site_fract_y
_atom_site_fract_z
_atom_site_occupancy
Ga1 0.250 0.062 0.249 1
Ga2 0.250 0.250 0.730 1
Cu1 0.250 0.750 0.516 1
Pd1 0.250 0.750 0.997 1
```

Main lines, by angle (5 to 70 degrees two-theta):
d 3.696, rel. 26.4
d 2.447, rel. 56.4
d 2.237, rel. 25.2
d 2.161, rel. 24.6
d 2.143, rel. 100.0
d 2.116, rel. 30.0
d 2.065, rel. 38.5
d 1.848, rel. 11.0
d 1.517, rel. 15.8
d 1.493, rel. 21.7

GaCuPd: computed powder X-ray diffraction pattern (Cu Kα X-rays), based on a GGA-PBE-relaxed structure.
No peak broadening, texture or thermal motion is included.

Structural model:
```
data_GaCuPd
_chemical_formula_sum 'Ga4 Cu4 Pd4'
_symmetry_space_group_name_H-M 'C 1 2/m 1'
_symmetry_Int_Tables_number 12
_symmetry_space_group_name_Hall '-C 2y'
_cell_length_a 9.133
_cell_length_b 3.990
_cell_length_c 5.226
_cell_angle_alpha 90.00
_cell_angle_beta 116.13
_cell_angle_gamma 90.00
loop_
_atom_site_label
_atom_site_fract_x
_atom_site_fract_y
_atom_site_fract_z
_atom_site_occupancy
Ga1 0.163 0.000 0.105 1
Cu1 0.007 0.500 0.756 1
Pd1 0.174 0.000 0.614 1
```

Main lines, by angle (5 to 70 degrees two-theta):
d 3.159, rel. 4.1
d 2.585, rel. 5.0
d 2.255, rel. 100.0
d 2.164, rel. 82.8
d 2.056, rel. 35.9
d 1.995, rel. 34.8
d 1.810, rel. 4.2
d 1.734, rel. 19.5
d 1.432, rel. 21.3
d 1.367, rel. 9.1

GaCu4Pd7: computed powder X-ray diffraction pattern (Cu Kα X-rays), based on a GGA-PBE-relaxed structure.
No peak broadening, texture or thermal motion is included.

Structural model:
```
data_GaCu4Pd7
_chemical_formula_sum 'Ga1 Cu4 Pd7'
_symmetry_space_group_name_H-M 'P -3 m 1'
_symmetry_Int_Tables_number 164
_symmetry_space_group_name_Hall '-P 3 2"'
_cell_length_a 4.3187
_cell_length_b 4.3187
_cell_length_c 10.5951
_cell_angle_alpha 90.00
_cell_angle_beta 90.00
_cell_angle_gamma 120.00
loop_
_atom_site_label
_atom_site_fract_x
_atom_site_fract_y
_atom_site_fract_z
_atom_site_occupancy
Ga1 0.0000 0.0000 0.0000 1
Cu1 0.3333 0.6667 0.1758 1
Cu2 0.3333 0.6667 0.4104 1
Pd1 0.0000 0.0000 0.2360 1
Pd2 0.0000 0.0000 0.5000 1
Pd3 0.3333 0.6667 0.6541 1
Pd4 0.3333 0.6667 0.9220 1
```

Main lines, by angle (5 to 70 degrees two-theta):
d 3.527, rel. 1.9
d 2.568, rel. 5.4
d 2.160, rel. 100.0
d 1.653, rel. 1.4
d 1.528, rel. 15.6
d 1.513, rel. 1.1

GaCu6Pd2: computed powder X-ray diffraction pattern (Cu Kα X-rays), based on a GGA-PBE-relaxed structure.
>>>
Environmental Principles and Governance Bill needs to go beyond legislating to maintain the status quoIEMA has welcomed the vote in Parliament today to retain vital EU legal protections through the EU Withdrawal Bill. The amendment ensures that key environmental principles will be established in primary legislation and that the new independent environment body will have the power to hold government to account and take legal action to ensure implementation of environmental protections.
Martin Baxter IEMA’s Chief Policy Advisor said: “We welcome Parliament’s decision to close the Brexit environmental governance gap. Underpinning protections and future environmental policy will be based on key principles including the precautionary principle the polluter pays principle and sustainable development.”
IEMA set out its position in evidence to the Environmental Audit Committee inquiry into the Government’s Environmental Principles and Governance consultation calling for environmental principles to be established in primary legislation; and for the new environmental body to be given powers to enforce environmental law and take government to court.
However we need greater ambition if we are to reverse long-term environmental degradation and rebuild the UK’s natural asset base. Baxter said: “The ambition for an environmental governance framework must be set at a higher level than it is today. Legislating to maintain the status quo won’t provide the underpinning legal framework we need to achieve long-term environmental goals.”
“The proposed Environmental Principles and Governance Bill needs to be broader in scope than simply replicating existing EU functions. It needs to provide the legal framework for delivering the long-term goals in the 25yr Environment Plan.”
IEMA has repeatedly called on Government to enshrine the full environmental acquis in UK law and go beyond to legislate to ensure even higher levels of environmental protection. In its Core Principles for the Environment – Brexit and Beyond which provides a framework for the UK’s transposition of the EU environmental acquis IEMA stated the UK must take a “progressive approach to improvement”; and that underpinning environmental principles were needed to guide future environmental policy.
IEMA’s evidence to the Environmental Audit Committee inquiry into the Government’s Environmental Principles and Consultation is here
IEMA’s full briefing and position is available from here